Excerpt:
=====
[1]
{
  "formula": "SrGa2SnSe6",
  "functional": "PBE-GGA",
  "state": "optimized geometry",
  "lattice_angstrom": [[7.1067, -6.0737, 0.0000], [7.1067, 6.0737, 0.0000], [-3.2832, 0.0000, 7.0339]],
  "species": ["Sr", "Sr", "Ga", "Ga", "Ga", "Ga", "Sn", "Sn", "Se", "Se", "Se", "Se", "Se", "Se", "Se", "Se", "Se", "Se", "Se", "Se"],
  "frac_coords": [[0.1644, 0.8356, 0.7500], [0.8356, 0.1644, 0.2500], [0.2501, 0.3688, 0.8193], [0.3688, 0.2501, 0.3193], [0.6312, 0.7499, 0.6807], [0.7499, 0.6312, 0.1807], [0.1879, 0.8121, 0.2500], [0.8121, 0.1879, 0.7500], [0.0588, 0.1691, 0.6514], [0.1054, 0.6081, 0.9277], [0.1691, 0.0588, 0.1514], [0.2815, 0.4453, 0.5584], [0.3919, 0.8946, 0.5723], [0.4453, 0.2815, 0.0584], [0.5547, 0.7185, 0.9416], [0.6081, 0.1054, 0.4277], [0.7185, 0.5547, 0.4416], [0.8309, 0.9412, 0.8486], [0.8946, 0.3919, 0.0723], [0.9412, 0.8309, 0.3486]],
  "raw_formation_energy_ev_per_atom": -0.7052
}

[2]
{
  "formula": "TcIrRu3",
  "functional": "PBE-GGA",
  "state": "optimized geometry",
  "lattice_angstrom": [[4.5531, 0.0000, 0.0000], [0.0000, 4.5531, 0.0000], [0.0000, 0.0000, 4.5531]],
  "species": ["Tc", "Ir", "Ru", "Ru", "Ru"],
  "frac_coords": [[0.0000, 0.0000, 0.0000], [0.5000, 0.5000, 0.5000], [0.0000, 0.0000, 0.5000], [0.0000, 0.5000, 0.0000], [0.5000, 0.0000, 0.0000]],
  "formation_energy_ev_per_atom": 1.9525
}

[3]
{
  "formula": "Pr2MnGe3Rh4",
  "functional": "PBE-GGA",
  "state": "optimized geometry",
  "lattice_angstrom": [[4.2086, 0.0000, 0.0000], [0.0000, 4.2086, 0.0000], [0.0000, 0.0000, 10.4701]],
  "species": ["Pr", "Pr", "Mn", "Ge", "Ge", "Ge", "Rh", "Rh", "Rh", "Rh"],
  "frac_coords": [[0.0000, 0.5000, 0.2501], [0.5000, 0.0000, 0.7499], [0.0000, 0.0000, 0.5000], [0.0000, 0.5000, 0.8722], [0.5000, 0.0000, 0.1278], [0.5000, 0.5000, 0.5000], [0.0000, 0.0000, 0.0000], [0.0000, 0.5000, 0.6356], [0.5000, 0.0000, 0.3644], [0.5000, 0.5000, 0.0000]],
  "formation_energy_ev_per_atom": -0.7661
}

[4]
{
  "formula": "Sm3Cu2Ag4",
  "functional": "PBE-GGA",
  "state": "optimized geometry",
  "lattice_angstrom": [[5.3574, -2.3257, 0.0000], [5.3574, 2.3257, 0.0000], [-3.6573, 0.0000, 7.9690]],
  "species": ["Sm", "Sm", "Sm", "Cu", "Cu", "Ag", "Ag", "Ag", "Ag"],
  "frac_coords": [[0.0000, 0.0000, 0.0000], [0.3258, 0.3258, 0.3462], [0.6742, 0.6742, 0.6538], [0.4048, 0.4048, 0.7305], [0.5952, 0.5952, 0.2695], [0.0423, 0.0423, 0.3712], [0.2809, 0.2809, 0.9359], [0.7191, 0.7191, 0.0641], [0.9577, 0.9577, 0.6288]],
  "formation_energy_ev_per_atom": -0.2251
}

[5]
{
  "formula": "CuMo2Rh",
  "functional": "PBE-GGA",
  "state": "optimized geometry",
  "lattice_angstrom": [[2.6709, -4.0199, 0.0000], [2.6709, 4.0199, 0.0000], [0.0000, 0.0000, 2.6953]],
  "species": ["Cu", "Mo", "Mo", "Rh"],
  "frac_coords": [[0.0000, 0.0000, 0.0000], [0.0000, 0.5000, 0.5000], [0.5000, 0.0000, 0.5000], [0.5000, 0.5000, 0.0000]],
  "formation_energy_ev_per_atom": 0.0502
}

[6]
{
  "formula": "CeAgSb2",
  "functional": "PBE-GGA",
  "state": "optimized geometry",
  "lattice_angstrom": [[2.2823, 1.3177, 8.6233], [-2.2823, 1.3177, 8.6233], [0.0000, -2.6353, 8.6233]],
  "species": ["Ce", "Ag", "Sb", "Sb"],
  "frac_coords": [[0.0000, 0.0000, 0.0000], [0.5000, 0.5000, 0.5000], [0.3974, 0.3974, 0.3974], [0.6026, 0.6026, 0.6026]],
  "raw_formation_energy_ev_per_atom": -0.0304
}

[7]
{
  "formula": "Ho2Mg2Sc7",
  "functional": "PBE-GGA",
  "state": "optimized geometry",
  "lattice_angstrom": [[5.4563, -5.2821, 0.0000], [5.4563, 5.2821, 0.0000], [-1.8383, 0.0000, 4.9643]],
  "species": ["Ho", "Ho", "Mg", "Mg", "Sc", "Sc", "Sc", "Sc", "Sc", "Sc", "Sc"],
  "frac_coords": [[0.2153, 0.7847, 0.0000], [0.7847, 0.2153, 0.0000], [0.4208, 0.4208, 0.7093], [0.5792, 0.5792, 0.2907], [0.0000, 0.0000, 0.5000], [0.0275, 0.6015, 0.3238], [0.2281, 0.2281, 0.1383], [0.3985, 0.9725, 0.6762], [0.6015, 0.0275, 0.3238], [0.7719, 0.7719, 0.8617], [0.9725, 0.3985, 0.6762]],
  "formation_energy_ev_per_atom": 0.1750
}

[8]
{
  "formula": "Cs2Hg2SbI4",
  "functional": "PBE-GGA",
=====

To do:
Your job: say how many lines of the material further up hold the word "species", as a bare number.

Worked solution:
7